Sunday, September 23, 2007

£75 for a Consultation? That'll Do Nicely...

The word "consultation" means different things to different people. To me (and hopefully you) it would mean asking local people what they think of a particualr policy or plan. To New Labour it means something entirely different, as you are about to discover. It is rare that I quote an entire blogpost from another blog, but I think this one warrants it. It's from the Dr Ray's Focal Spot blog. In this post, Dr Ray, a hospital consultant describes the consultation process for the closure of a local District General Hospital. Perhaps I shouldn't be shocked by this, but I am...

Yesterday evening I had an insight into the workings of Nulabours "consultation" process on the planned closure of NHS District General Hospitals and replacement
with dumbed down polyclinics.A few weeks ago invitations to attend a public consultation were sent to consultants at our Trust. We were only given one day
to reply for the meeting in the near future even though we have to give 6 weeks
notice of leave because of "choose and book".Obviously this meant that most of us could not attend but one consultant did take up the invitation.The location of the meeting was kept secret until three days before the event and when this consultant was eventually told the location and turned up in Birmingham for the "Citizens Jury" it turned out that medical staff were outnumbered 2:1 by laypeople specifically chosen by an agency to attend the event. The media were present and had obviously been invited to publicise the event.

The delegates were split up into groups and each allocated an electronic voting device. A "minder" was allocated to each group.Then the stars of the show arrived: Gordon Brown, Alan Johnson and Ara Darzi.There followed a rapid succession of questions from the podium on which the delegates were asked to vote. The minder was available to suggest the best answer if there was any doubt.Strangely, almost all the votes were 2:1 in favour of Nulabour's policy. Even the question: "Would you prefer gynaecological surgery to be carried out in your GP practice even if it meant the closure of your DGH facility?" was answered with 2:1 in favour.Following the "consultation"the medical delegates were told to leave but the other 2/3 of the audience were kept back and each given an envelope.

My colleague was intrigued by this and managed to catch one of the "chosen ones" and ask about the contents. Each envelope contained £75 in cash! So now the consultation is over and the results indicate there is overwhelming public and doctor support for closing down the DGHs. I can only say that the way the voting was done makes the "Blue Peter" voting fraud seem like, well, "Blue Peter". According to the Downing Street website there are nine more of these "consultations" due around the county. Thats an awful lot of people to bribe with taxpayers money, but once they're done the business of closing the DGHs can start in earnest.

I'd like to think that this will be followed up by Her Majesty's Press.


  1. It makes 50p from YouGov look a bit puny, this raises simultaneous patronising/ignoring to new levels. Mind you, the people who pay YouGov are probably interested in the answers rather than getting the "right" answer.

  2. Brown really is a scumbag isn't he.

  3. Oh yes. Joy of Joys. Fantastic. What a story.

  4. Why don't the consultants write that simple report into an A5 b&w leaflet costing fractions of a penny each and leaflet their local areas?

    Headline it - Save Our Hospital -

    then three or four short bullet points

    and tail line it with - You Cannot Trust Gordon Brown.

    and the usual please write to your MP or join the fight to save.....

    The media will always pull their punches exposing the truth about the governmet's lies. Your own leaflet can reach housands very fast, and gets a campaign up and runnng. UKL 75 pounds buys a few hundred leaflets.

    Get down to Prontaprint or equivalent now.

**Attached: calculated crystals:**
'''
(1)
Below is a geometry-optimized Re6H12Pb3C2S2N4O26 structure, with properties calculated at the GGA-PBE level.

extended XYZ file:
```
110
Lattice="16.509 0.000 0.000 0.000 16.509 0.000 0.000 0.000 5.902" Properties=species:S:1:pos:R:3 pbc="T T T"
Re 0.462 2.977 2.766
Re 1.797 6.457 0.026
Re 2.977 16.047 3.136
Re 5.278 7.793 2.766
Re 6.457 14.712 5.876
Re 7.793 11.231 3.136
Re 8.717 5.278 3.136
Re 10.052 1.797 5.876
Re 11.231 8.717 2.766
Re 13.533 0.462 3.136
Re 14.712 10.052 0.026
Re 16.047 13.533 2.766
H 1.799 12.923 0.061
H 3.017 12.386 3.028
H 3.103 3.486 5.849
H 3.486 13.406 0.053
H 3.586 1.799 5.840
H 4.123 3.017 2.873
H 4.131 11.271 3.028
H 4.669 10.053 0.061
H 4.769 5.151 5.849
H 5.151 11.741 0.053
H 5.238 4.131 2.873
H 6.456 4.669 5.840
H 10.053 11.841 5.840
H 11.271 12.378 2.873
H 11.358 4.769 0.053
H 11.741 11.358 5.849
H 11.841 6.456 0.061
H 12.378 5.238 3.028
H 12.386 13.493 2.873
H 12.923 14.711 5.840
H 13.023 3.103 0.053
H 13.406 13.023 5.849
H 13.493 4.123 3.028
H 14.711 3.586 0.061
Pb 0.000 0.000 0.000
Pb 1.384 9.639 3.033
Pb 6.870 1.384 2.868
Pb 8.255 8.255 0.000
Pb 9.639 15.125 2.868
Pb 15.125 6.870 3.033
C 3.116 11.370 0.079
C 5.139 3.116 5.823
C 11.370 13.394 5.823
C 13.394 5.139 0.079
S 1.889 10.144 0.072
S 6.365 1.889 5.829
S 10.144 14.620 5.829
S 14.620 6.365 0.072
N 2.779 12.660 0.078
N 3.850 2.779 5.824
N 4.405 11.034 0.078
N 5.475 4.405 5.824
N 11.034 12.104 5.824
N 12.104 5.475 0.078
N 12.660 13.730 5.824
N 13.730 3.850 0.078
O 0.073 14.642 4.019
O 0.080 14.161 1.211
O 0.280 11.969 3.041
O 1.079 7.176 4.482
O 1.103 7.152 1.488
O 1.538 4.726 0.020
O 1.867 0.073 1.883
O 2.203 3.125 2.829
O 2.348 0.080 4.691
O 3.125 14.306 3.073
O 3.161 11.415 3.004
O 3.529 6.716 0.020
O 3.714 8.535 3.041
O 4.540 0.280 2.861
O 4.726 14.971 5.881
O 5.094 3.161 2.898
O 5.130 6.052 2.829
O 5.906 8.334 1.211
O 6.052 11.380 3.073
O 6.387 8.328 4.019
O 6.716 12.980 5.881
O 7.152 15.406 4.413
O 7.176 15.431 1.419
O 7.975 3.714 2.861
O 8.175 5.906 4.691
O 8.181 6.387 1.883
O 8.328 10.122 1.883
O 8.334 10.603 4.691
O 8.535 12.795 2.861
O 9.333 1.079 1.419
O 9.358 1.103 4.413
O 9.793 3.529 5.881
O 10.122 8.181 4.019
O 10.458 5.130 3.073
O 10.603 8.175 1.211
O 11.380 10.458 2.829
O 11.415 13.349 2.898
O 11.784 1.538 5.881
O 11.969 16.229 2.861
O 12.795 7.975 3.041
O 12.980 9.793 0.020
O 13.349 5.094 3.004
O 13.384 2.203 3.073
O 14.161 16.430 4.691
O 14.306 13.384 2.829
O 14.642 16.436 1.883
O 14.971 11.784 0.020
O 15.406 9.358 1.488
O 15.431 9.333 4.482
O 16.229 4.540 3.041
O 16.430 2.348 1.211
O 16.436 1.867 4.019
```

- Total magnetic moment: 0.05 μB per formula unit
- ρ: 4.8 g cm⁻³
- E_tot: -6.8854 eV/atom
- SG: P-42_1m

---

(2)
Below is a geometry-optimized H12PbC4S4N2O8 structure, with properties calculated at the GGA-PBE level.

extended XYZ file:
```
124
Lattice="7.876 0.000 0.000 0.000 9.164 0.000 -6.588 0.000 20.425" Properties=species:S:1:pos:R:3 pbc="T T T"
H -1.262 0.369 4.779
H -4.556 4.213 14.992
H -0.313 6.837 2.080
'''

    Brown will change policy in a week if you do.

  5. If this is Birmingham, ask Marilyn, campaigns coordinator at The Assay Office for a template leaflet from her Save The Hallmark campaign to work from. Her campaign saved the British hallmark from Blair's attempts at abolition.

    Printers will advise on layout. For UKL 1000 you could get a powerful campaign up and running, with posters and leaflets. Why not?

  6. Such a pro-Tory piece though Iain, and written in such a brazenly anti-Labour way that I can't easily analyse the story. It's such a shame people can't write things like this in a less loaded way - it would ultimately help the cause more.

    Mind you, pedant that I am, I find myself grimacing at his appalling use of the apostrophe (or lack of it). Radiologist is he? Dr Alan Statham would be suicidal at such use of English!

  7. Followed up by Inspector Yates would be a better outcome!
    I know I should not be shocked, nor angered by this, but such blatant manipulation of the consultative process makes my blood boil.
    Having got away with Cash 4 Peerages, Brown's involvement in this is still to be revealed, ZaNuLabor continue to act like Stalinist control freaks.
    This must be shouted about from the rooftops till the MSM do begin to question ZaNuLabor about their actions.

  8. I think you'll find these are being organised by Opinion Leader Research (prop. Deborah Mattinson, Gordon's personal pollster).

    Costing the taxpayer a few million, but neating allowing Deborah the opportunity to do some private polling (free) for Gordon.

  9. It sounds to me like the money could be standard for a focus group and that your blogger may not be aware of this. That said, the methodology does seem questionable.

  10. I'm sad to say I'm not suprised by any of this..the whole 'Citizen jury' idea is there to rubberstamp ideas already decided on to provide a image of Gordo listening to the people. However the sheer stagemanagedness of it all is fairly awful.

  11. Well done for exposing this scandal Iain.

    This is a new low for democracy in this country.

    Are Cameron and co going to make an issue of this or is such chicanery tolerated these days?

  12. NuLabour have never been interested in any other view that conflicts with their own so why anybody should be surprised at these shenanigans is beyond me. The so called "Citizen's Juries" are a complete "con" to convince a gullible MSM that the government is listening to the people. It never has and never will. It's all fakery and window dressing.Period.

    Remember the guiding rule of focus groups is - if you don't get the right answer first time keep asking until you do.

  13. Sounds like a form of Tammany Hall politics....

  14. I know one is not allowed to swear on this blog - but saying that this is flipping disgusting just doesn't begin to cover it...

  15. Saying it is bloody disgusting doesn't even come close to it either...

  16. Saying that this pi$$es me off might give one the impression that this was just one of life's little hiccups, like a traffic jam on the M4...

  17. No, there is just one word for it.. this is absolutely fuc*ing stinking in its rank, disgusting hypocrisy and you are absolutely right to publish this in its entirety to punish these intellectual pygmies who prostitute the meaning of the word consultation for their own political ends. To quote that great philosopher Graham Taylor "Do I NOT like that !!"

  18. Perhaps I shouldn't be shocked by this, but I am...

    Similar comments have been made on other blogs that mention this. It depresses me immensely that cynicism is currently so high that people aren't AUTOMATICALLY outraged by this.

    The mainstream press should indeed pick it up, but what about the Opposition? This is yet another of the many open goals that the Tories (and, let's face it, the Lib Dems too) will completely ignore.

    The electorate see this, and think "I wonder why? I bet it's because they see nothing wrong in it, and are probably up to something similar themselves."

    And so the cycle of cynicism, disaffection and pathetically low voter turnout continues.

    Frankly, if this is even half true true then as well as mass media reporting I would want to see Plod investigating. But then the cynic in me says "I bet it's not even illegal, and is therefore seen as fair tactics by the immoral undemocratic trough-snufflers who are supposed to be public servants, and who determine legality in the first place".

    [Stomps off to pub under black cloud]

  19. Appalling. Absolutely appalling. It is politically corrupt and morally degenerate to spend taxpayers money on this sort of scam.

    The matter should be raised in the House of Commons as a matter of urgency when MPs return.

  20. The "laypeople specifically chosen by an agency to attend the event" will often be friends/acquaintances of a recruiter who are briefed beforehand to play a particular role or claim to meet the requirements of the research brief. This 'rigging' of focus groups is endemic in market research, as it cuts out the expensive business of recruiting to a tightly defined brief. The respondents will then play their role as required, so as to ensure they get more work from the recruiter. Every business has its scams and market research is no different!

  21. Iain,
    In your Telegraph article yesterday you state you would have more time for e-petitions if you felt that the PM read them . Why not sign upto which asks the PM to give this assurance. 8 signatures so far!!!

  22. I am rarely shocked when I read your blog, but this is incredible.

    Is this breaking the law in any way?

    What can we do?

  23. Perhaps instead of Her Majesty's Press picking up the cudgels.. we may actually hear something from Her Majesty's Opposition!

    That would be novel!

    Come on Dave get your blunderbuss out!

  24. Control freaks.

    How do they dress up the £75? What's it called? Expenses? Compensation for loss of time? Measly little sweetner? (Oops, sorry, delete the last one.)

    Anyway, it will be a drop in the ocean in the overall cost of organising these fatuous charades.

    I look forward to the Tories raging about this latest scam. Unless of course they're too busy working out how to keep up with Labour's spending plans.

  25. I'm speechless - I assume you phone hasnt stopped ringing as the mainstream media chase this story?

  26. Let's not mince words. The £75 is a bribe pure and simple.

    Do we know what "agency" was involved? Are the "members of the public" recruited from Labour Party members, trade union activists, wives/husbands of local Labour councillors etc?

    This is blatant coruption, and as the great control freak Brown himself was at the meeting he should be nailed for this.

    Let's hope the media take this up but even more so let's hope Cameron and his crew do or they should stand aside and make way for an opposition worthy of the name.

  27. I have just read this and feel phuysically shocked. Where do you start to highlight what is wrong with such a process? And is there any point in starting when the people who do this have been elected and re-elected and will almost certainly, be elected again?It says as much about the state of our country as about the deviousness of our politicians. Gordon Not Tony Blair Brown is neither staesman nor honest politician. He is as tainted as his predecessor but sadly he is the one that they want.

  28. "Broken Society" Said Dave...

    It certaintly is when people recieve bribes to bypass a "democratic" process.

    He might be a tree hugging hippie, but Dave does speak truth sometimes...

Inserted here: crystal structures:
********
Model one:
The following is a DFT calculation (PBE+U) of an optimized crystal structure of Li3Fe2P4O14.

abc: 9.833 9.791 11.170
angles: 90.33 102.27 89.50
Atoms (fractional coordinates):
Li  0.171  0.427  0.543
Li  0.345  0.912  0.958
Li  0.143  0.390  0.042
Li  0.413  0.613  0.972
Li  0.323  0.919  0.449
Li  0.614  0.781  0.456
Li  0.666  0.084  0.543
Li  0.592  0.400  0.033
Li  0.655  0.108  0.035
Li  0.919  0.908  0.974
Li  0.835  0.579  0.459
Li  0.887  0.284  0.547
Fe  0.197  0.923  0.668
Fe  0.247  0.210  0.823
Fe  0.237  0.719  0.173
Fe  0.301  0.422  0.328
Fe  0.700  0.576  0.685
Fe  0.752  0.282  0.825
Fe  0.748  0.778  0.170
Fe  0.805  0.071  0.324
P  0.022  0.452  0.757
P  0.115  0.712  0.880
P  0.069  0.924  0.246
P  0.124  0.149  0.422
P  0.378  0.648  0.577
P  0.437  0.429  0.759
P  0.515  0.048  0.749
P  0.386  0.206  0.115
P  0.620  0.798  0.885
P  0.481  0.951  0.243
P  0.563  0.574  0.245
P  0.624  0.351  0.418
P  0.875  0.852  0.580
P  0.928  0.074  0.756
P  0.884  0.288  0.115
P  0.982  0.542  0.255
O  0.026  0.406  0.628
O  0.026  0.841  0.570
O  0.078  0.080  0.731
O  0.094  0.599  0.770
O  0.104  0.363  0.859
O  0.193  0.827  0.826
O  0.219  0.650  0.993
O  0.024  0.265  0.088
O  0.124  0.076  0.293
O  0.069  0.911  0.113
O  0.131  0.522  0.225
O  0.187  0.290  0.412
O  0.177  0.824  0.319
O  0.208  0.056  0.521
O  0.294  0.555  0.478
O  0.330  0.325  0.698
O  0.316  0.791  0.586
O  0.363  0.026  0.772
O  0.377  0.578  0.706
O  0.445  0.440  0.896
O  0.481  0.776  0.919
O  0.294  0.139  0.001
O  0.314  0.328  0.165
O  0.407  0.099  0.228
O  0.413  0.581  0.269
O  0.398  0.859  0.143
O  0.473  0.342  0.427
O  0.518  0.084  0.620
O  0.481  0.912  0.374
O  0.532  0.659  0.567
O  0.593  0.141  0.851
O  0.583  0.416  0.726
O  0.594  0.901  0.770
O  0.680  0.672  0.831
O  0.725  0.865  0.992
O  0.530  0.236  0.095
O  0.571  0.580  0.111
O  0.627  0.425  0.290
O  0.634  0.967  0.222
O  0.692  0.209  0.409
O  0.664  0.679  0.320
O  0.720  0.435  0.519
O  0.781  0.938  0.478
O  0.829  0.180  0.678
O  0.806  0.712  0.586
O  0.867  0.468  0.772
O  0.914  0.083  0.887
O  0.868  0.926  0.706
O  0.976  0.749  0.903
O  0.770  0.335  0.004
O  0.820  0.164  0.172
O  0.906  0.650  0.168
O  0.895  0.402  0.221
O  0.921  0.917  0.278
O  0.970  0.163  0.433
O  0.988  0.560  0.390

Computed properties:
SG: P1



Model two:
The following is a DFT calculation (PBE+U) of an optimized crystal structure of Li3Fe2P4O14.

abc: 9.841 9.852 11.226
angles: 90.01 102.25 90.12
Atoms (fractional coordinates):
Li  0.086  0.104  0.029
Li  0.148  0.391  0.039
Li  0.413  0.615  0.972
Li  0.313  0.907  0.443
Li  0.381  0.223  0.552
Li  0.618  0.783  0.454
Li  0.674  0.082  0.545
Li  0.589  0.398  0.029
Li  0.646  0.093  0.042
Li  0.907  0.895  0.969
Li  0.899  0.553  0.506
Li  0.897  0.276  0.548
Fe  0.205  0.917  0.677
Fe  0.252  0.209  0.823
Fe  0.246  0.707  0.175
Fe  0.294  0.427  0.337
Fe  0.704  0.580  0.682
Fe  0.753  0.290  0.824
Fe  0.744  0.779  0.167
********

  29. Well, of course it's disgraceful but complaining about it would be a typical Brownian trap.

    He'll respond that whoever complains about it isn't interested in democracy or listening to the people, and the fact that they disagree with the outcome of the consultation only demonstrates how out of touch they are with the public at large.

    He'll insist that it is the medical profession's own fault that they didn't turn up in greater numbers and besides, shouldn't the NHS be answerable to the people and not the consultants?

    By the time Brown's finished ripping into the Tories or Lib Dems for bringing this subject up, the original story of ending public consultations and replacing it with phoney controlled events with guaranteed outcomes will be entirely forgotten.

  30. It will be interesting to find out if these sessions are supposed to be genuine research programmes and run under Market Research Society rules.

    If they are, and I wouldn't be surprised if they are, to create "legitimacy", with the built in bias in selection and process as stated, Mattinson and OLR could be booted out of the MRS and stopped from running any research programmes, which will no doubt displease Chime Communication who own them.

    Wonder how much HMG work is going Chime's way these days?

  31. Dear Anonymous,
    The piece is not 'rabidly pro-tory'. However, you are certainly correct that it is 'anti-labour'. Most of the medical profession care very little about the modern conservative party, who have done very little to excite them. However, we are fed up to the back teeth with the constant manipulation of the NHS by NuLabour, in order to win a few votes. MMC, MTAS, PFI, MRSA, 4 hour wait, NHS-IT, C&B have all been forced in by Labour, at great expense, and have all left the health service in a worse state than before.
    However, bribing people in order to get local DGHs shut now is a new low, even for them, and deserves the involvement of the plod. And for Professor Darsi, the GMC.

    Mr Salmon @ Dr

  32. It would be interesting to know the Inland Revenue's view of the £75 and whether it is deemed to be taxable.
    Any "proper" business doling out £75 cash without deduction could expect to receive some fairly nasty demands for tax.
    If however, HMRC does not consider these payments to be taxable, I would be most interested to know why.

  33. Disgrace, absolute disgrace.

    Surely the only question now is who breaks the story first within the mainstream media.

    Gordon will give a speech tomorrow reaffirming that the NHS is his priority. He will probably mention this consultation to pretend he is giving the people what they want. He will probably name Prof Darzi to add weight to all this.

    This story ruins all of that in one fell swoop. It is huge. I suspect Gordon is in for a an unexpectedly difficult week.

  34. Four legs good, two legs BETTER.

    M. Sarkozy has the word for this government: racaille.

  35. Remember how Alan Milburn destroyed the Community Health Councils? No excuses, no reasons, just destruction.

    He then put in place Patients' Forums, filled largely with the ignorant and inexperienced, which are now failing and are due to be replaced - who knows when - with yet another useless crowd.

    It all means that there is no vocal, experienced, apolitical critique of the NHS anymore.

    Now why would you want a situation like that?

    Over to you, Chris Paul.

  36. Iain,
    Thank you for highlighting this. I have to make it clear this was not a consultation about the closure of a single DGH but the first of a series of Citizens' Juries (yes I do know about apostrophes in reply to the pedant) linked to Sir Darzi's review. It will affect the whole country.
    The £75 may well be seen as "expenses" but it is odd that the expenses were not offered to NHS staff. Even if it was assumed that NHS staff would claim expenses from their employers this would effectively be diverting NHS money to the NuLabour propaganda machine.
    I can't do much more to validate this story as I just transcribed what was said to me by someone who did attend. It will be up to this consultant if he/she is willing to confirm the story to the media but we all know that this will be a career damaging move for an NHS employee.

  37. Fix the juries, fix the result to fix the policy. This consultation stinks like two week old fish, and like a fish NULab rots from the head down.

  38. Sham public consultations on NHS reorganisations of the reconfiguration of the last reform are a phenomenon of the new millenium and the current government.

    They do however seem to becoming more brazen with their contempt for the ideals of democratic process.

    Each episode gets even closer to looking like the demonic love child of George Orwell and Kim Il Sung. How dare Gordon lecture Robert Mugabe on this form?

  39. It's corruption. Naked corruption. Indeedy, call in Yates

    Iain - surely you know bods at the main papers who could chase this? It's just OUTRAGEOUS.

  40. My petition from before this came out
    (shame on my typo!)

  41. There has been some comment on this story on the DoctorsNet forums (restricted access to doctors) and one consultant has come forward to confirm part of the story regarding the selection process, which effectively excluded hospital consultants. I am hoping someone else who actually managed to attend will post and confirm the story.
    I reproduce the letter below (I am omitting the name which was given on the forum).

    I recieved an invitation to attend the event -as a medical person rather than Joe Citizen- as did other 'Leaders', such as members of the Clinical Leaders Network in NW.

    However the notice of the event period was far too short to have allowed attendence without having to cancel all operations already booked and confirmed on that day. The invitation was also circulated at the peak of the August summer holidays and many people would not have had it until their return to clinical. I was also puzzled by lack of event location details as a further barrier to attending.

    I welcome the goverment's consultation being now lead by Lord Darzi and its aspirations but am disappointed that flawed methods may produce invalid results. If so the consequences are potentially ruinous.

  42. I think we need an account from some members the Citizen Jury.

    Two separate questions:

    1 - Selection of the Jury.
    2 - Payment to the members.

    Most importantly, what is the Jury members perceptions of 2.

    I have been paid in the past for taking part in (industry) "evaluations".

    £75 would be par for the course for 1/3 of a day (AM, PM, or evening). That could be completely above board.

    The real question is the integrity of the overall process.


  43. I know it's unusual for me, but I only have two words to say.

    GUY FAWKES!!!!!!!!!!

  44. Department of Health has admitted that £75 cash in sealed envelopes was paid out to lay people attending Citizens Juries. story here

  45. I posted this in full on various of the CiF slobberings over Brown yesterday. All deleted. Reposted, no text, just the link and brief highlights. They banned me.

    Something going on?
